2019/2020 Rowing Season
Celebrating with Positivity in the Face of Disappointment The 2019/20 Rowing season came to an abrupt halt on 13 March 2020. The COVID-19 virus that swept across the world ended the Head of Schoolgirls Regatta, with the Australian National Championships also cancelled two days later. Although it was a disappointing end to the season for our rowers, it does not take away from a season filled with positivity, achievement and so many great memories. Year 9 Rowing Program
The page is interrupted by records of crystals >
'''
No. 1
Pm2B6Os3: theoretical powder diffraction line list (Cu Kα), based on a DFT-relaxed cell (GGA-PBE, Alexandria).
Lines closer than 0.1° are merged.

Principal peaks in the range 2θ from 10° to 80°, low angle first:
- 2θ 14.7, d 6.018, I = 24
- 2θ 19.7, d 4.510, I = 17
- 2θ 23.7, d 3.754, I = 23
- 2θ 29.7, d 3.009, I = 26
- 2θ 31.8, d 2.818, I = 19
- 2θ 38.3, d 2.348, I = 100
- 2θ 40.0, d 2.255, I = 19
- 2θ 42.5, d 2.127, I = 20

Crystal structure
```
data_Pm2B6Os3
_chemical_formula_sum 'Pm2 B6 Os3'
_cell_length_a 6.054
_cell_length_b 6.054
_cell_length_c 3.754
_cell_angle_alpha 90.00
_cell_angle_beta 90.00
_cell_angle_gamma 96.29
_symmetry_space_group_name_H-M 'P 1'
_symmetry_Int_Tables_number 1
loop_
_symmetry_equiv_pos_as_xyz
'x,y,z'
loop_
_atom_site_label
_atom_site_type_symbol
_atom_site_fract_x
_atom_site_fract_y
_atom_site_fract_z
Pm1 Pm 0.220 0.780 0.000
Pm2 Pm 0.780 0.220 0.000
B1 B 0.111 0.414 0.500
B2 B 0.112 0.112 0.500
B3 B 0.414 0.111 0.500
B4 B 0.586 0.889 0.500
B5 B 0.888 0.888 0.500
B6 B 0.889 0.586 0.500
Os1 Os 0.276 0.276 0.000
Os2 Os 0.500 0.500 0.500
Os3 Os 0.724 0.724 0.000
```


No. 2
LaDy7Ho2: theoretical powder diffraction line list (Cu Kα), based on a DFT-relaxed cell (GGA-PBE, Alexandria).
Lines closer than 0.1° are merged.

Principal peaks in the range 2θ from 10° to 80°, low angle first:
- 2θ 30.3, d 2.945, I = 26
- 2θ 31.8, d 2.812, I = 100
- 2θ 32.0, d 2.795, I = 64
- 2θ 37.5, d 2.401, I = 13
- 2θ 44.6, d 2.033, I = 18
- 2θ 56.7, d 1.623, I = 18
- 2θ 57.8, d 1.594, I = 14
- 2θ 62.4, d 1.489, I = 29

Crystal structure
```
data_LaDy7Ho2
_chemical_formula_sum 'La1 Dy7 Ho2'
_cell_length_a 8.770
_cell_length_b 8.770
_cell_length_c 7.019
_cell_angle_alpha 101.45
_cell_angle_beta 101.45
_cell_angle_gamma 37.36
_symmetry_space_group_name_H-M 'P 1'
_symmetry_Int_Tables_number 1
loop_
_symmetry_equiv_pos_as_xyz
'x,y,z'
loop_
_atom_site_label
_atom_site_type_symbol
_atom_site_fract_x
_atom_site_fract_y
_atom_site_fract_z
La1 La 0.000 0.000 0.000
Dy1 Dy 0.000 0.000 0.500
Dy2 Dy 0.212 0.212 0.358
Dy3 Dy 0.400 0.400 0.203
Dy4 Dy 0.401 0.401 0.697
Dy5 Dy 0.599 0.599 0.303
Dy6 Dy 0.600 0.600 0.797
Dy7 Dy 0.788 0.788 0.642
Ho1 Ho 0.214 0.214 0.855
Ho2 Ho 0.786 0.786 0.145
```


(1)
# ZnIn
Theoretical powder diffractogram, copper Kα. Input: a structure optimized by DFT (GGA-PBE).

Crystal structure
abc: 4.8440 5.1169 8.9199
angles: 90.00 105.16 90.00
Sites, in units of the cell vectors:
1 Zn 0.0000 0.0000 0.0000
2 Zn 0.1162 0.5000 0.8669
3 Zn 0.4336 0.0000 0.8676
4 Zn 0.6820 0.5000 0.9993
5 Zn 0.8636 0.5000 0.4334
6 In 0.2293 0.0000 0.4337
7 In 0.2560 0.5000 0.2138
8 In 0.4729 0.5000 0.6513
9 In 0.6330 0.0000 0.2067
10 In 0.8566 0.0000 0.6623

Largest 10 diffraction maxima, in order of rising 2θ, 10° ≤ 2θ ≤ 90°:
2θ/deg, I/Imax
29.69, 17.5
29.89, 18.0
35.07, 79.1
36.37, 100.0
36.66, 95.4
37.12, 25.6
41.24, 60.1
51.99, 18.8
63.77, 18.2
63.95, 27.5

(2)
# ZnIn
'''
So much for the records of crystals >
Year 10 Rowing Program
These materials data were left in the article by mistake =
/*
Diffraction record for Sr2In3PdAu12. The powder diffraction line list is simulated, not measured: it uses a structure optimized by DFT (GGA-PBE) and λ = 1.5418 Å (Cu Kα).
Neutral-atom scattering factors, no anomalous dispersion.

The 8 most intense peaks (10° ≤ 2θ ≤ 90°), by intensity:
- 2θ = 39.78°, intensity 100.0
- 2θ = 28.60°, intensity 96.1
- 2θ = 38.23°, intensity 84.8
- 2θ = 41.97°, intensity 62.8
- 2θ = 20.63°, intensity 61.1
- 2θ = 43.31°, intensity 49.3
- 2θ = 36.76°, intensity 46.2
- 2θ = 12.89°, intensity 37.6

Atomic structure:
Lattice parameters (Å, degrees): 9.0629 9.0629 20.6012 90.00 90.00 120.00
Space group R-3m (No. 166, hexagonal axes)
Inequivalent atoms, fractional coordinates:
Sr 0.0000 0.0000 0.1116
In 0.0000 0.5000 0.0000
Pd 0.0000 0.0000 0.5000
Au 0.0053 0.5026 0.1387
Au 0.0802 0.5401 0.4058

=====

Diffraction record for In2Te2Pd7Au. The powder diffraction line list is simulated, not measured: it uses a structure optimized by DFT (GGA-PBE) and λ = 1.5418 Å (Cu Kα).
Neutral-atom scattering factors, no anomalous dispersion.

The 8 most intense peaks (10° ≤ 2θ ≤ 90°), by intensity:
- 2θ = 46.23°, intensity 100.0
- 2θ = 36.63°, intensity 48.6
- 2θ = 41.88°, intensity 46.4
- 2θ = 11.39°, intensity 43.5
- 2θ = 43.64°, intensity 42.8
- 2θ = 40.65°, intensity 40.5
- 2θ = 39.82°, intensity 39.2
- 2θ = 38.11°, intensity 35.8

Atomic structure:
Lattice parameters (Å, degrees): 5.5577 5.5705 15.6107 90.00 95.54 90.00
Space group C2/m (No. 12)
Inequivalent atoms, fractional coordinates:
In 0.0686 0.0000 0.2558
Te 0.1515 0.5000 0.4002
Pd 0.0000 0.0000 0.0000
Pd 0.1603 0.0000 0.4292
Pd 0.2143 0.2500 0.8661
Au 0.0000 0.5000 0.0000

=====

Diffraction record for PmIn3Au3. The powder diffraction line list is simulated, not measured: it uses a structure optimized by DFT (GGA-PBE) and λ = 1.5418 Å (Cu Kα).
Neutral-atom scattering factors, no anomalous dispersion.

The 8 most intense peaks (10° ≤ 2θ ≤ 90°), by intensity:
- 2θ = 36.33°, intensity 100.0
- 2θ = 37.58°, intensity 71.0
- 2θ = 20.74°, intensity 37.6
- 2θ = 48.47°, intensity 37.2
- 2θ = 25.90°, intensity 31.7
- 2θ = 30.98°, intensity 25.0
- 2θ = 53.26°, intensity 23.4
- 2θ = 66.18°, intensity 21.5

Atomic structure:
Lattice parameters (Å, degrees): 8.5673 8.5673 17.3177 90.00 90.00 120.00
Space group R-3 (No. 148, hexagonal axes)
Inequivalent atoms, fractional coordinates:
Pm 0.0000 0.0000 0.1650
In 0.0017 0.3029 0.5979
Au 0.0009 0.3515 0.4241

=====

Diffraction record for Pm5InAu2. The powder diffraction line list is simulated, not measured: it uses a structure optimized by DFT (GGA-PBE) and λ = 1.5418 Å (Cu Kα).
Neutral-atom scattering factors, no anomalous dispersion.

The 8 most intense peaks (10° ≤ 2θ ≤ 90°), by intensity:
- 2θ = 31.31°, intensity 100.0
- 2θ = 34.13°, intensity 51.0
- 2θ = 63.83°, intensity 18.4
- 2θ = 13.21°, intensity 14.2
- 2θ = 34.38°, intensity 13.3
- 2θ = 41.54°, intensity 12.7
- 2θ = 53.87°, intensity 10.5
- 2θ = 66.15°, intensity 10.2
*/
The Loreto Toorak Year 9 Rowing program is the largest single cohort in Australian schoolgirl rowing. For the more than 90 girls that commenced their first rowing season at the beginning of Term 4 2019, this season was one full of new experiences. As the season progressed, new personal bests were set and the cohort developed momentum, building on their success of gold in the first regatta of Term 1, through to a dominant position on the Friday of Head of Schoolgirls with 13 wins from 14 races; the most of any school.
The Year 10 program continued to build on the work the athletes had completed in Year 9, with almost 50 eager, competitive and resilient girls working hard since Term 3 2019. As the season continued, there were many challenges along the way; the first 2K ergo, competition for places, and tough racing on the Barwon and the Yarra, but each time the Year 10 squad was faced with a challenge, they found a way to overcome it. The girls showed their courage and sincerity as they set new school records on the ergo, built their competitiveness throughout the term, including winning the Year 10 medal tally at the Victorian State Championships, and arrived in peak physical condition ready for the Head of Schoolgirls Regatta.
We congratulate to our Year 9 Rowing squad for their effort, accomplishment and development across the season. The future of Loreto Toorak Rowing is in great hands.
Although there were only nine seats available for the Baby VIII, the competition for places meant that it was one of the best U17 crews in the country. The crew won a fiercely contested silver medal at the NSW State Championships which was an exciting prelude to the National Championships. The Year 10 squad should be justifiably proud of their effort, their commitment and their sincerity. We are all so proud of what our girls achieved this season, and their journey in the Learn to Row program, through until today. We hope that they take all the wonderful, positive work they have done and continue to strive for success. They are well prepared for our Seniors Rowing program and should be encouraged not to let anything stop them from achieving their dreams.